Our Sinful, Human Nature
Contributed by Craig Condon on Nov 28, 2017 (message contributor)
Summary: If we love God, we will truly love the things we ought to love and we'll find some other way of expressing our appreciation for the material things we have.
What comes next are calculated molecules, not part of the text =
********
[1]
Here is a gas-phase ion, C5H9N2O (charge +1) at a distorted geometry from OMol25. Energies are from ωB97M-V/def2-TZVPD.

## Properties
Kohn-Sham gap (spin up / spin down), eV: 8.14 / 8.06
Highest occupied orbital energy (spin up / spin down), eV: -13.3 / -13.3
Energy relative to the best compared isomer or geometry (same formula, charge and spin), kcal per mole: 147.4
Multiplicity: 1
Charge: +1

Geometry (Å):
C  2.6297  -1.1877  0.0418
C  2.4370  0.1099  0.4594
C  0.0874  -0.2977  0.5275
C  -1.6126  1.1218  -0.5314
C  -1.3363  -0.1579  0.2265
N  1.4462  -1.9217  -0.0847
N  1.0218  0.5531  0.5472
O  1.4700  -3.2706  0.2256
H  3.6035  -1.5435  -0.3671
H  3.2295  0.8262  0.6581
H  -1.0204  1.9899  -0.0647
H  -2.6470  1.3955  -0.6911
H  -1.1697  1.0452  -1.5717
H  -1.7056  -0.9208  -0.3391
H  -1.8834  -0.1359  1.2206
H  0.7565  1.5440  0.4794
H  0.6764  -3.6236  -0.2021

Force components x, y, z for each atom (eV/Å):
-1.3 0.5 0.4
-0.9 -0.3 -0.6
0.8 -2.6 -0.2
2.2 1.8 -1.3
-0.2 2.5 2.5
-0.5 0.7 -0.3
2.2 -0.5 0.2
0.5 2.1 0.0
-0.8 -0.1 1.0
-0.5 0.0 -0.4
-1.4 -0.9 -0.5
-0.2 -0.1 0.5
-0.5 0.0 1.0
-0.8 -2.6 -1.2
0.6 -0.3 -1.0
0.6 -0.2 0.0
0.0 0.0 -0.1



[2]
Here is a single C5H9N2O3PS2 molecule at a distorted geometry from OMol25. Energies are from ωB97M-V/def2-TZVPD.

## Properties
Kohn-Sham gap (spin up / spin down), eV: 6.92 / 6.01
Highest occupied orbital energy (spin up / spin down), eV: -6.5 / -9.2
Energy relative to the best compared isomer or geometry (same formula, charge and spin), kcal per mole: 25.6
⟨S²⟩: 2.007
Multiplicity: 3

Geometry (Å):
C  -0.4381  0.9225  -0.8849
C  0.9265  -0.8872  -1.9970
C  0.0057  0.8475  0.6221
C  1.5611  0.9038  0.8285
C  -0.5126  1.9281  1.4483
N  -0.0756  0.0052  -1.9179
N  -0.6139  -0.4272  1.1563
O  -1.0643  1.8913  -1.1847
O  -1.9004  -1.9202  -0.8047
O  -0.9636  -3.0125  1.1434
P  -0.6700  -1.7359  0.2987
S  1.7955  -1.1371  -3.3329
S  1.1132  -2.1561  -0.7216
H  2.2386  0.6868  -0.0598
H  1.7188  0.3476  1.6522
H  1.8112  1.9996  1.0297
H  -0.3739  2.8955  0.8246
H  0.1420  1.9616  2.2968
H  -1.5239  1.7255  1.7817
H  -0.3051  0.4349  -2.8010
H  -1.8461  -2.5632  -1.4406
H  -1.0252  -2.7106  2.0628

Force components x, y, z for each atom (eV/Å):
1.6 0.8 1.2
0.0 -1.4 3.9
0.8 -3.5 -1.6
-0.1 3.3 -4.1
-0.5 2.6 -0.9
-1.3 2.2 0.7
0.3 -1.1 -1.2
-1.2 0.7 -1.2
0.8 3.4 3.5
0.2 -0.4 1.3
-1.4 1.1 -1.5
1.8 -0.6 -2.8
-0.1 0.2 -0.7
-1.0 -0.4 1.1
1.1 -2.0 2.7
-0.3 -1.4 0.0
-0.6 -1.3 1.4
0.0 0.3 0.7
-0.2 0.4 -0.2
-0.5 0.0 -0.2
0.5 -2.6 -2.4
0.1 -0.3 0.2


No. 1
{
  "formula": "C23H23MnPSb",
  "method": "ωB97M-V/def2-TZVPD",
  "symbols": ["C", "C", "C", "C", "C", "Mn", "P", "H", "H", "H", "H", "H", "H", "H", "H", "C", "C", "C", "C", "C", "C", "Sb", "C", "C", "C", "C", "C", "C", "C", "C", "C", "C", "C", "C", "H", "H", "H", "H", "H", "H", "H", "H", "H", "H", "H", "H", "H", "H", "H"],
********
The passage from Hosea 11:1-10 is a story of God mourning over his people. He loved Israel like a parent loves a child, but Israel spurned him. Even though he was rejected, God still loved Israel and could not renounce his chosen people. It is a metaphor for what Jesus did. Jesus was rejected by some of the people, but he still loved them even to the point of dying on the cross. Christ's death and resurrection are symbols of God's never-ending love for us.
God's lonely heart is also a metaphor for all broken relationships-divorce, estrangement, separation or death, for example. The loneliness really hurts when others are in trouble or on a collision course. We want to step in and help, but our efforts are sometimes rejected. When this frustrates us, we can sympathize with God's anguish over his people. We remember the time when we have rejected him. We remember the times when we have tried to run our own lives. Sometimes we edge him out of our lives until life's problems and pressures become so severe that we become homesick for God. We can feel God's heart beating and yearning for his people. When we repent, we begin our Christian life and unlock the secret to receiving daily strength and courage.
All of us want to be praised, including God. God wants us to praise him so much that he made it the turning point in our deepest, darkest problems and anxieties. When we praise God, we acknowledge that he can use even the most painful events in our lives. He takes us just the way we are. He doesn't care if we are rich or poor, beautiful or ugly, how intelligent we are or how powerful we are. He only cares that we will "let go and let God".
'''
{"formula": "C35H52AsP3SYb", "method": "ωB97M-V with the def2-TZVPD basis set", "e_tot_ha": -6180.3726, "charge": 3, "mol_weight_g_mol": 845.75, "multiplicity": 2, "relative_energy_kcal_mol": 163.8, "symbols": ["Yb", "As", "S", "P", "P", "P", "C", "C", "C", "C", "C", "C", "C", "C", "C", "C", "C", "C", "C", "C", "C", "C", "C", "C", "C", "C", "C", "C", "C", "C", "C", "C", "C", "C", "C", "C", "C", "C", "C", "C", "C", "H", "H", "H", "H", "H", "H", "H", "H", "H", "H", "H", "H", "H", "H", "H", "H", "H", "H", "H", "H", "H", "H", "H", "H", "H", "H", "H", "H", "H", "H", "H", "H", "H", "H", "H", "H", "H", "H", "H", "H", "H", "H", "H", "H", "H", "H", "H", "H", "H", "H", "H", "H"], "coordinates": [[-0.81652, -0.01296, -3.75967], [0.10223, -2.23324, 2.56945], [1.89841, -0.35083, 0.42543], [-3.01436, -0.71404, -1.63656], [3.21204, 0.86354, -0.73236], [-0.41478, 2.22922, 1.31644], [-3.62328, -0.91449, 0.10025], [1.08798, 0.57102, -4.70050], [4.39206, 1.33495, 0.47525], [1.20707, 0.90352, 5.18020], [-3.45293, -2.37477, -2.27593], [-1.28277, 3.22771, 0.05603], [-2.33982, -3.56630, 3.44703], [2.33126, 2.21198, -1.48007], [0.13580, -0.98063, 4.11106], [1.89679, -2.94235, 2.93992], [-4.41744, 0.24655, -2.32995], [2.66242, -3.36083, 1.83623], [-3.12367, -4.63004, 3.90520], [1.80746, -2.18380, -4.70665], [1.19658, -0.06703, 4.17396], [2.42177, -3.03564, 4.22961], [3.73166, -3.49446, 4.42301], [-0.85695, -0.00146, 6.07341], [-2.52988, -5.84787, 4.24729], [1.24989, -0.21018, -3.59735], [1.68990, -1.34414, -5.97138], [-0.88004, -0.96441, 5.06465], [-0.44624, -1.96062, -4.57909], [0.78512, -1.65918, -3.76111], [-1.76806, 1.62659, 2.38497], [-0.94277, -3.73030, 3.35024], [0.17953, 0.93953, 6.12722], [0.35008, -0.03784, -5.84008], [-0.34525, -4.95368, 3.66630], [3.81560, -0.25173, -1.93935], [4.51384, -3.86542, 3.31934], [-0.62521, -1.11967, -5.66994], [3.97354, -3.80250, 2.02679], [0.37004, 3.49355, 2.39380], [-1.14293, -6.01179, 4.12854], [-4.70471, -0.13373, -3.31329], [2.00418, -0.12010, 3.44843], [-0.55723, 3.57207, -0.69477], [2.94946, -0.37617, -2.60921], [1.63276, -3.27526, -4.92289], [-0.02903, 0.76802, -6.54095], [0.70691, -2.06967, -2.76742], [2.03014, 1.61648, 5.23006], [4.57289, -4.09191, 1.15811], [-1.75655, 4.09069, 0.54123], [1.53893, 1.55785, -4.82285], [-2.54006, -2.98032, -2.29764], [-4.19893, -4.50233, 3.99050], [-1.05568, -2.82988, -4.25891], [-1.68034, -1.70773, 5.01688], [1.31082, 3.82165, 1.92582], [-0.32047, 4.34522, 2.48772], [-4.18101, -2.87342, -1.62669], [0.58652, 3.06208, 3.38253], [1.82364, -2.73213, 5.09278], [-0.67721, -6.95819, 4.38654], [1.74884, 2.73636, -0.70441], [3.91717, 1.97749, 1.22532], [-4.11228, 1.29597, -2.43325], [1.37354, -1.95010, -6.85280], [-2.27972, 0.79330, 1.88337], [0.73574, -5.09126, 3.55410], [2.83005, -2.13503, -4.25011], [-1.65169, 0.00302, 6.82481], [1.66604, 1.87652, -2.30280], [-2.81540, -1.35539, 0.70905], [4.10354, -1.21748, -1.50403], [-4.49200, -1.59392, 0.10992], [-3.91784, 0.04852, 0.54470], [2.66744, -0.83738, -6.22142], [5.19776, 1.87191, -0.03767], [4.78876, 0.42929, 0.95145], [4.13481, -3.54779, 5.44094], [-1.44648, -1.21362, -6.38979], [-5.27005, 0.19225, -1.64206], [4.65726, 0.18116, -2.49208], [1.15754, 0.65816, 0.78516], [-2.04046, 2.60045, -0.43427], [-3.13810, -6.66751, 4.60582], [5.54448, -4.20236, 3.47222], [-3.85563, -2.31248, -3.29026], [-2.80432, -2.61896, 3.16851], [3.08186, 2.90034, -1.90657], [2.24235, -3.32439, 0.83400], [0.19963, 1.68746, 6.92210], [-1.35081, 1.27456, 3.33721], [-2.47423, 2.44875, 2.56496]]}
'''
Even though God loves his people, he can't ignore their sins just like a parent can't ignore it when a child misbehaves. God's righteous nature demands that sin be punished. Because he loves his people and because he demands that sin be punished, he provided a substitute in Jesus. Jesus paid our sin debt on the cross so that everyone who believes in him will have eternal life. This fulfilled God's purpose and plan to reconcile his people to him. This also gives us hope and a future. God's love will always outweigh his punishment.
(Unrelated to this page: calculated molecules)
┌──
Entry from the Open Molecules 2025 dataset: a molecular structure, C40H66Br3GeN4O2RbSSi3 in a non-equilibrium geometry (the ωB97M-V functional and the def2-TZVPD basis).

Kohn-Sham gap = 0.190 hartree
DFT total energy = -354376.7163 eV
Lowest unoccupied orbital energy = 3.53 eV

Geometry as ORCA input:
```
! wB97M-V def2-TZVPD RIJCOSX def2/J DEFGRID3
* xyz -2 1
Rb 0.160 -0.249 0.147
Br -1.013 -0.457 -4.180
C 0.190 0.933 -3.621
Br 1.908 0.220 -3.143
H -0.229 1.446 -2.767
H 0.327 1.611 -4.452
C 3.517 3.021 -0.918
N 2.154 2.916 -0.406
C 1.790 3.741 0.490
C 0.518 3.671 1.159
C 0.242 4.041 2.469
C -1.008 3.495 2.810
C -1.455 2.789 1.709
N -0.553 2.924 0.701
C 4.541 2.586 0.104
C 4.484 1.288 0.610
C 5.372 0.868 1.584
C 6.336 1.743 2.072
C 6.411 3.032 1.567
C 5.514 3.451 0.591
H 3.730 4.042 -1.258
H 3.585 2.359 -1.784
H 2.464 4.529 0.859
H 0.913 4.583 3.118
H -1.521 3.576 3.754
H -2.374 2.251 1.551
H 3.723 0.609 0.238
H 5.302 -0.141 1.974
H 7.022 1.424 2.849
H 7.165 3.717 1.938
H 5.572 4.465 0.208
C 5.634 -2.379 5.993
C 6.337 -1.790 4.760
C 7.499 -2.714 4.388
C 6.918 -0.412 5.118
C 5.329 -1.639 3.623
C 4.208 -0.827 3.796
C 3.284 -0.715 2.788
Br 1.794 0.464 3.027
C 3.341 -1.404 1.539
O 2.357 -1.322 0.721
C 4.553 -2.140 1.337
C 5.466 -2.252 2.383
C 4.937 -2.832 0.016
C 6.351 -2.381 -0.395
C 4.025 -2.507 -1.172
C 4.930 -4.355 0.222
H 6.334 -2.489 6.827
H 5.219 -3.361 5.756
H 4.813 -1.739 6.316
H 8.181 -2.809 5.237
H 8.061 -2.314 3.542
H 7.139 -3.712 4.129
H 7.646 -0.493 5.931
H 6.130 0.273 5.431
H 7.414 0.021 4.247
H 4.046 -0.271 4.711
H 6.351 -2.852 2.210
H 6.388 -1.291 -0.449
H 6.600 -2.784 -1.380
H 7.117 -2.713 0.308
H 4.000 -1.434 -1.359
H 3.005 -2.834 -1.009
H 4.413 -3.004 -2.068
H 5.613 -4.652 1.020
H 5.230 -4.869 -0.697
H 3.926 -4.689 0.495
O 0.085 -2.239 2.013
H 0.880 -1.854 1.581
H -0.656 -1.731 1.664
S -0.774 3.684 -1.747
C -0.798 2.452 -0.626
N 0.452 -5.166 -1.118
C -0.361 -5.137 -2.228
C -0.737 -3.834 -2.366
N -0.178 -3.075 -1.370
C 0.526 -3.897 -0.638
H 0.885 -5.975 -0.717
H -0.590 -6.022 -2.796
H -1.387 -3.390 -3.101
H 1.085 -3.632 0.245
C -5.982 -0.764 3.205
Si -4.132 -0.766 2.688
C -3.513 -2.434 3.390
C -3.410 0.555 3.873
Ge -3.294 -0.447 0.450
Si -4.888 1.168 -0.365
C -6.776 0.846 -0.254
C -4.772 2.926 0.389
C -4.562 1.459 -2.220
Si -4.348 -2.397 -0.488
C -3.397 -3.990 0.009
C -4.294 -2.388 -2.404
C -6.166 -2.903 -0.132
H -6.094 -0.950 4.278
H -6.546 -1.533 2.668
H -6.451 0.199 2.982
H -3.708 -2.531 4.462
H -2.438 -2.556 3.232
H -4.013 -3.263 2.882
H -3.625 0.332 4.922
H -3.835 1.539 3.647
H -2.325 0.637 3.762
H -7.082 0.694 0.785
H -7.060 -0.050 -0.811
H -7.353 1.685 -0.655
H -4.797 2.901 1.483
H -5.601 3.553 0.051
H -3.842 3.416 0.091
H -4.599 0.521 -2.780
H -3.559 1.877 -2.349
H -5.276 2.156 -2.670
H -2.362 -3.754 0.268
H -3.382 -4.726 -0.799
H -3.851 -4.464 0.885
H -3.397 -1.876 -2.765
H -5.158 -1.857 -2.815
H -4.294 -3.399 -2.824
H -6.315 -3.066 0.939
H -6.443 -3.826 -0.652
H -6.860 -2.118 -0.441
*
```

***
└──
Each of us has two natures that are constantly at war with each other-a worldly nature and a spiritual nature. We have to choose which one we will feed. One will win and the other one will lose. We have a free will and we can decide which nature will win. We can decide if we will follow the flesh or the Spirit. Whether or not we live a Spirit-filled life will be determined by how often we say "yes" to the leading of the Spirit and "no" to the temptations of the flesh. If we do not deal properly with our old sinful nature, it will hinder our ability to live a Spirit-filled life. Worldliness will make us more miserable than non-believers.
We all long for things to fill the emptiness in our lives. Most of us try to fill that emptiness with material goods. Some even go so far as to fill this emptiness with drugs, alcohol or sex. These things will not fill the emptiness in our lives. In fact, they will only make things worse. We only have to look at the recent death of Canadian actor Corey Monteith to see the painful truth. He seemed to have it all: fame, a starring role in the hit TV Series "Glee" and a relationship with one of his co-stars. These signs of success hid a painful secret-an addiction to drugs. This addiction combined with alcohol to cause his death in a Vancouver hotel room a couple of weeks ago.
Jesus told the frustrated brother in Luke 12:13-21 that possessions and the work required to get them are not important. While we do have to work to provide food, clothing and shelter for ourselves, the only real possession we must strive for is a right relationship with God. As Christians, one of the most important things we can do is focus on what really matters-God. The problem is that very often we allow our daily lives to take our focus off of the ultimate prize. We become distracted and lose ground in our walk of faith, but if we keep our eyes on Jesus we will keep our heaven-focused perspective on life's challenges when they happen. In the words of a famous saying, we must not "sweat the small stuff".
When we become followers of Christ we have to follow certain rules or guidelines. These are not meant to put us into a religious straightjacket. They are designed to change our nature from a wicked human nature to a spotless spirit-filled nature. Paul tells us in Colossians 3:1-11 that we have to put off our old sinful nature with its reality, ravages, power to delude us and ability to draw us away from our new lives in Christ. Some people might think that this demand is old-fashioned, but we have modern sins such as sexual immorality, dirty-mindedness and envy. We have to cut these out of our lives just like a surgeon sometimes has to perform radical surgery to save a patient's life.